Friday 17 March 2017

=====
Density functional theory data (GGA-PBE) for TbSc2Nb after structural relaxation.

Cell lengths 3.2309, 3.2309, 31.7804 Å; angles 90.00, 90.00, 120.00 degrees
Closest atoms and distances in Å follow each position.
Space group R3m (No. 160, hexagonal axes)
Asymmetric unit:
Tb  0.0000  0.0000  0.0000 (multiplicity 3)  6 Tb 3.23, 6 Sc 3.45-3.50
Sc  0.0000  0.0000  0.5735 (multiplicity 3)  3 Nb 3.02, 6 Sc 3.23
Sc  0.0000  0.0000  0.7579 (multiplicity 3)  3 Nb 3.01, 6 Sc 3.23
Nb  0.0000  0.0000  0.1655 (multiplicity 3)  6 Sc 3.01-3.02, 6 Nb 3.23

For the energy of formation, the calculation gives 171 meV/atom. For the energy above the most stable polymorph in this dataset, the calculation gives 23 meV/atom. The calculation puts the magnetization at 0.000 μB/f.u.


Density functional theory data (GGA-PBE) for CaPmYSn after structural relaxation.

Cell lengths 7.7774, 7.7774, 7.7774 Å; angles 90.00, 90.00, 90.00 degrees
Closest atoms and distances in Å follow each position.
Space group F-43m (No. 216)
Asymmetric unit:
Ca  0.0000  0.0000  0.0000 (multiplicity 4)  4 Pm 3.37, 4 Y 3.37
Pm  0.2500  0.2500  0.7500 (multiplicity 4)  4 Sn 3.37, 4 Ca 3.37
Y  0.2500  0.2500  0.2500 (multiplicity 4)  4 Sn 3.37, 4 Ca 3.37
Sn  0.0000  0.0000  0.5000 (multiplicity 4)  4 Y 3.37, 4 Pm 3.37

For the energy of formation, the calculation gives -269 meV/atom. The calculation puts the magnetization at 0.667 μB/f.u.
=====

How Can You Become a Virtual Reality Developer?

After the euphoria of an internet and mobile apps is over, the next big thing on the platter is virtual reality. Although it has been in the picture for a couple of decades now, the world is gradually shifting its focus more towards virtual reality. In such a scenario, a career as a virtual reality developer is not only a promising but a rewarding one as well. There is no dearth of jobs for good virtual reality developers in a virtual reality development company in India and other parts of the world.

VR is in demand:

Virtual reality is being used in so many fields these days. Of all the fields where virtual reality is being used, real estate is one of the most prominent ones. Who would not want to take the opportunity to visit a dozen properties sitting on the same chair? Apart from real estate, virtual reality also finds its real-world application in education programs, gaming programs and several marketing campaigns.

Becoming virtual reality developers is much easier than getting a degree from Harvard or Massachusetts. The most important thing that you would need is the urge to come up with new thoughts and ideas and chase those ideas relentlessly till the time they are executed.

Requirements for becoming a VR developer:

You would also need to know about the fundamentals of 3D rendering and a bit of coding in a common programming language like JavaScript or C#. In case you do not know the programming language, you can get yourself enrolled in any of the courses which are offered by the IT institutions and colleges. Talking of 3D graphics, you would need to know the working principles of 3D geometry, rendering 3D objects and other things. Again, if you are not too savvy with 3D graphics, there are many online courses as well as classroom programs that will teach you 3D graphics in details.

# Crystal structures from another source follow
┌──
First-principles (PBEsol) data for a relaxed CoCuPCl2 crystal, as listed in Alexandria via LeMat-Bulk.

Calculated values
Energy relative to the elements, uncorrected (eV/atom): 0.41
Magnetic moment (Bohr magnetons per cell): 0.00

a = 4.6031 Å, b = 4.6031 Å, c = 4.1824 Å
α = 90.00°, β = 90.00°, γ = 90.00°
Last column: nearest neighbours and their distance in Å.
Space group P4/mmm (No. 123)
Asymmetric unit:
Co: 0.0000 0.0000 0.0000 x1  2 P 2.09, 4 Cl 2.30
Cu: 0.5000 0.5000 0.5000 x1  8 Cl 3.11, 4 P 3.25
P: 0.0000 0.0000 0.5000 x1  2 Co 2.09
Cl: 0.0000 0.5000 0.0000 x2  2 Co 2.30

~~~~~

(1)
First-principles (PBE) data for a relaxed structure of SmY7Tm5, as listed in the Alexandria database.

## Properties
energy of formation from the pure elements: 0.243 eV/atom

Lattice parameters (Å, degrees): 6.653 11.166 11.527 90.00 90.00 90.00
Space group Imm2 (No. 44)
Asymmetric unit:
Sm 0.000 0.000 0.000
Y 0.000 0.000 0.303
Y 0.000 0.000 0.615
Y 0.000 0.325 0.059
Y 0.000 0.330 0.560
Y 0.000 0.500 0.306
Tm 0.000 0.500 0.814
Tm 0.234 0.229 0.808

---

(2)
First-principles (PBE) data for a relaxed structure of Dy4Se4I3, as listed in the Alexandria database.

## Properties
formation energy (no corrections): -1.43 eV per atom

Lattice parameters (Å, degrees): 4.287 8.415 16.792 90.00 90.00 90.00
Space group Immm (No. 71)
Asymmetric unit:
Dy 0.000 0.000 0.229
Dy 0.000 0.215 0.500
Se 0.000 0.297 0.332
I 0.000 0.000 0.000
I 0.000 0.500 0.098

---

(3)
First-principles (PBE) data for a relaxed structure of InHgBrO2, as listed in the Alexandria database.

## Properties
formation energy (no corrections): -0.86 eV per atom

Lattice parameters (Å, degrees): 6.406 3.514 9.587 90.00 94.73 90.00
Space group P2_1/m (No. 11)
Asymmetric unit:
In 0.043 0.250 0.345
Hg 0.456 0.250 0.664
Br 0.244 0.750 0.872
O 0.146 0.250 0.572
O 0.224 0.750 0.292

---

(4)
└──

Once you have acquired the requisite knowledge, it is now the time to develop a VR content. Try with small things, and take the feedback from your users. Once you have gained some confidence on the subject, try applying for an apprenticeship at a virtual reality development company in India or wherever you live and work on a live project to get the complete hold on development of virtual reality.

Tuesday 4 October 2016

3 Ways in Which Virtual Tours are Changing the Face of the Real Estate Business in India

The world is going digital, with every passing minute technology is taking leaps into the future. We are always trying to find better ways of doing the things we do and invent newer and exciting ways of enhancing everyday activities.

In the recent years, virtual reality and technology surrounding it have become accessible to the consumers. We have embraced this amazing technology and the experiences it offers. This revolutionary tech is not just limited to the entertainment sector and has found applications in orthodox segments like real estate. In fact, the real estate sector has started utilizing virtual reality as a marketing tool enabling them to spearhead their marketing strategy to target the tech savvy audiences of today.

The most amazing way real estate in India is using virtual reality based tech is by creating virtual tours of the property they want to showcase. They take the help of a virtual reality development company based in India to create virtual tours and this trend has changed the real estate sector in three major ways.

Enhancing Experiences

A virtual tour developed by one of the best virtual reality company in India, helps in delivering unparalleled experiences. The virtual tour of a property for sale is something very new to the customers and hence it makes the overall experience better in so many ways.

Turning a new leaf

Records of crystals, kept here for reference:
/*
[1]
CaTiP2O | PBEsol | optimized geometry

Unit cell a=4.976 b=4.976 c=4.005 alpha=90.00 beta=90.00 gamma=90.00
Positions (direct):
1 Ca 0.000 0.000 0.000
2 Ti 0.500 0.500 0.500
3 P 0.000 0.500 0.000
4 P 0.500 0.000 0.000
5 O 0.000 0.000 0.500

Values from the calculation:
Its space-group type is P4/mmm. The energy above the most stable polymorph in this dataset is 1581 meV per atom. Its raw total energy is -4.976 eV per atom.

[2]
CaTi2P2O10 | PBEsol | optimized geometry

Unit cell a=8.822 b=6.875 c=9.956 alpha=59.95 beta=42.42 gamma=77.63
Positions (direct):
1 Ca 0.000 0.000 0.000
2 Ca 0.250 0.250 0.250
3 Ti 0.150 0.624 0.609
4 Ti 0.624 0.150 0.617
5 Ti 0.633 0.641 0.626
6 Ti 0.641 0.633 0.100
7 P 0.046 0.462 0.038
8 P 0.212 0.796 0.204
9 P 0.462 0.046 0.454
10 P 0.796 0.212 0.788
11 O 0.011 0.333 0.690
12 O 0.079 0.390 0.894
13 O 0.184 0.863 0.347
14 O 0.248 0.916 0.556
15 O 0.284 0.560 0.917
16 O 0.333 0.011 0.966
17 O 0.356 0.614 0.171
18 O 0.390 0.079 0.636
19 O 0.422 0.585 0.412
20 O 0.560 0.284 0.239
21 O 0.585 0.422 0.580
22 O 0.614 0.356 0.860
23 O 0.645 0.903 0.387
24 O 0.670 0.838 0.665
25 O 0.694 0.970 0.002
26 O 0.838 0.670 0.828
27 O 0.863 0.184 0.605
28 O 0.903 0.645 0.066
29 O 0.916 0.248 0.280
30 O 0.970 0.694 0.334

Values from the calculation:
Its space-group type is Fdd2. Its raw total energy is -8.261 eV per atom.

We obtain theoretical density values of 2.8, 3.5 g/cm³ for the records listed above, in that order.
We obtain DOS(E_F) values of 5.44, 0.00 states/eV/f.u. for the records listed above, in that order.
*/

The market is experiencing a revolutionary trend of technology and marketing coming together to offer something extraordinary. Most real estate projects are nowadays working closely with a virtual reality development company in India and create breathtaking tours for their clients to enjoy and thus increase sales channels across various platforms.

Attracting Customers

Adding virtual reality tours that are designed to give details of the property and put things into perspective has helped sellers to attract more customers. The reason is simple; customers are always looking for something more without having to waste time traveling. Virtual reality tours help a company to offer more to their audiences and attract more sales.